Echo the lines below from the one with "0.033" to the one with "0.001 0.751" verbatim, please.

=====
[1]
A plane-wave DFT calculation with PBE with a Hubbard U was carried out for a relaxed Li4Mn2Cr3Sn3O16 crystal.

Computed properties:
energy relative to the elements	-2166	meV per atom
volume	311.5	Å³/f.u.
final energy	-6.659	eV per atom

Geometry as CIF:
```
data_Li4Mn2Cr3Sn3O16
_symmetry_space_group_name_H-M 'P 1'
_symmetry_Int_Tables_number 1
_symmetry_space_group_name_Hall 'P 1'
_cell_length_a 6.083
_cell_length_b 6.088
_cell_length_c 9.656
_cell_angle_alpha 89.22
_cell_angle_beta 89.35
_cell_angle_gamma 60.60
loop_
_atom_site_label
_atom_site_fract_x
_atom_site_fract_y
_atom_site_fract_z
Li1 0.000 0.000 0.000
Li2 0.001 0.000 0.508
Li3 0.351 0.352 0.099
Li4 0.686 0.687 0.606
Mn1 0.354 0.355 0.520
Mn2 0.685 0.686 0.005
Cr1 0.183 0.675 0.785
Cr2 0.674 0.184 0.785
Cr3 0.844 0.845 0.286
Sn1 0.180 0.182 0.789
Sn2 0.355 0.850 0.286
Sn3 0.849 0.355 0.286
O1 0.009 0.010 0.689
O2 0.012 0.013 0.186
O3 0.063 0.498 0.651
O4 0.177 0.178 0.409
O5 0.181 0.682 0.404
O6 0.334 0.846 0.900
O7 0.350 0.350 0.893
O8 0.493 0.494 0.658
O9 0.496 0.065 0.651
O10 0.539 0.541 0.149
O11 0.541 0.987 0.163
O12 0.683 0.180 0.404
O13 0.684 0.684 0.402
O14 0.844 0.845 0.894
O15 0.846 0.333 0.900
O16 0.984 0.544 0.162
```

***

[2]
A plane-wave DFT calculation with PBE with a Hubbard U was carried out for a relaxed CeCuW2O8 crystal.

Computed properties:
energy relative to the elements	-2351	meV per atom
volume	164.5	Å³/f.u.
final energy	-7.448	eV per atom

Geometry as CIF:
```
data_CeCuW2O8
_symmetry_space_group_name_H-M 'P -1'
_symmetry_Int_Tables_number 2
_symmetry_space_group_name_Hall '-P 1'
_cell_length_a 7.269
_cell_length_b 7.469
_cell_length_c 7.627
_cell_angle_alpha 113.96
_cell_angle_beta 116.23
_cell_angle_gamma 91.22
loop_
_atom_site_label
_atom_site_fract_x
_atom_site_fract_y
_atom_site_fract_z
Ce1 0.185 0.288 0.465
Cu1 0.242 0.676 0.991
W1 0.264 0.294 0.033
W2 0.350 0.896 0.712
O1 0.042 0.308 0.088
O2 0.138 0.989 0.801
O3 0.175 0.637 0.554
O4 0.190 0.356 0.802
O5 0.292 0.994 0.519
O6 0.386 0.176 0.258
O7 0.457 0.538 0.256
O8 0.479 0.827 0.007
```

***

[3]
A plane-wave DFT calculation with PBE with a Hubbard U was carried out for a relaxed Sr2CrOsO6 crystal.

Computed properties:
energy relative to the elements	-2458	meV per atom
volume	124.6	Å³/f.u.
final energy	-7.241	eV per atom

Geometry as CIF:
```
data_Sr2CrOsO6
_symmetry_space_group_name_H-M 'P -1'
_symmetry_Int_Tables_number 2
_symmetry_space_group_name_Hall '-P 1'
_cell_length_a 5.581
_cell_length_b 5.630
_cell_length_c 7.930
_cell_angle_alpha 90.02
_cell_angle_beta 90.75
_cell_angle_gamma 90.01
loop_
_atom_site_label
_atom_site_fract_x
_atom_site_fract_y
_atom_site_fract_z
Sr1 0.005 0.499 0.249
Sr2 0.495 0.001 0.751
Cr1 0.000 0.000 0.000
Cr2 0.500 0.500 0.500
Os1 0.000 0.000 0.500
Os2 0.500 0.500 0.000
O1 0.002 0.052 0.747
O2 0.217 0.723 0.526
O3 0.235 0.268 0.022
O4 0.268 0.765 0.978
O5 0.278 0.216 0.475
O6 0.499 0.544 0.248
```

***

[4]
A plane-wave DFT calculation with PBE with a Hubbard U was carried out for a relaxed Li11Mn12B12O36 crystal.

Computed properties:
energy relative to the elements	-2491	meV per atom
volume	756.1	Å³/f.u.
final energy	-7.343	eV per atom

Geometry as CIF:
```
data_Li11Mn12B12O36
_symmetry_space_group_name_H-M 'P 1'
_symmetry_Int_Tables_number 1
_symmetry_space_group_name_Hall 'P 1'
_cell_length_a 8.852
_cell_length_b 8.890
_cell_length_c 10.436
_cell_angle_alpha 98.73
_cell_angle_beta 98.42
_cell_angle_gamma 107.88
loop_
_atom_site_label
_atom_site_fract_x
_atom_site_fract_y
_atom_site_fract_z
Li1 0.000 0.000 0.000
Li2 0.027 0.445 0.760
Li3 0.158 0.892 0.475
Li4 0.250 0.249 0.250
Li5 0.278 0.695 0.012
Li6 0.408 0.142 0.723
Li7 0.528 0.945 0.265
Li8 0.657 0.392 0.975
Li9 0.750 0.750 0.749
Li10 0.778 0.195 0.513
Li11 0.908 0.643 0.225
Mn1 0.021 0.379 0.049
Mn2 0.124 0.833 0.771
Mn3 0.172 0.257 0.539
Mn4 0.273 0.624 0.302
Mn5 0.376 0.082 0.022
Mn6 0.418 0.502 0.784
Mn7 0.522 0.868 0.552
Mn8 0.621 0.334 0.274
Mn9 0.664 0.753 0.039
=====

W1 0.264 0.294 0.033
W2 0.350 0.896 0.712
O1 0.042 0.308 0.088
O2 0.138 0.989 0.801
O3 0.175 0.637 0.554
O4 0.190 0.356 0.802
O5 0.292 0.994 0.519
O6 0.386 0.176 0.258
O7 0.457 0.538 0.256
O8 0.479 0.827 0.007
```

***

[3]
A plane-wave DFT calculation with PBE with a Hubbard U was carried out for a relaxed Sr2CrOsO6 crystal.

Computed properties:
energy relative to the elements	-2458	meV per atom
volume	124.6	Å³/f.u.
final energy	-7.241	eV per atom

Geometry as CIF:
```
data_Sr2CrOsO6
_symmetry_space_group_name_H-M 'P -1'
_symmetry_Int_Tables_number 2
_symmetry_space_group_name_Hall '-P 1'
_cell_length_a 5.581
_cell_length_b 5.630
_cell_length_c 7.930
_cell_angle_alpha 90.02
_cell_angle_beta 90.75
_cell_angle_gamma 90.01
loop_
_atom_site_label
_atom_site_fract_x
_atom_site_fract_y
_atom_site_fract_z
Sr1 0.005 0.499 0.249
Sr2 0.495 0.001 0.751